The Hunter's Lucky Little Lady - Chapter 627

Chapter 627

Hearing Mr. Fu's words, several people were silent.

"Master, how can you be sure that we can get asylum if we take refuge in King Qin? Also, can King Qin really protect us?" The fifth Feng Huan asked.

"Not sure, not sure! Huan'er, you are the most impatient and insecure, and you always like to think in the worst direction. This is your advantage, and it is also you There are many things in this world that are very certain. Many things are based on wealth and danger. The reputation of King Qin and Princess Qin is good, and the teacher just talked with Princess Qin, from when she talked about food You can see from the look that this is a person who likes to eat delicious food! We cooks, follow her, that's right!" Elder Fu said.

"Master, we rely on our ability to eat, we rely on our craftsmanship, where we can't go, why do we have to be humble and small for others. I still like a free and free identity, but I don't want to just give others one more cook!" Feng Huan's younger brother Feng Le said reluctantly.

"Then who do you think is better at cooking than your Seventh Junior Brother?" Fu Lao asked bluntly.

== Someone pasted materials data at this point ==
+++
(1)
# MgSc2Fe (PBE-GGA, relaxed)
# * N(E_F): 0.228 states/eV per atom
# * DFT formation energy: 0.31 eV per atom
data_MgSc2Fe
_cell_length_a 6.0700
_cell_length_b 6.0700
_cell_length_c 6.0700
_cell_angle_alpha 103.01
_cell_angle_beta 103.01
_cell_angle_gamma 123.34
_symmetry_space_group_name_H-M 'P 1'
_symmetry_Int_Tables_number 1
loop_
_symmetry_equiv_pos_as_xyz
'x,y,z'
loop_
_atom_site_label
_atom_site_type_symbol
_atom_site_fract_x
_atom_site_fract_y
_atom_site_fract_z
Mg1 Mg 0.0000 0.0000 0.0000
Mg2 Mg 0.7500 0.2500 0.5000
Sc1 Sc 0.1978 0.6250 0.0728
Sc2 Sc 0.3750 0.4478 0.5728
Sc3 Sc 0.5522 0.1250 0.9272
Sc4 Sc 0.8750 0.8022 0.4272
Fe1 Fe 0.2500 0.7500 0.5000
Fe2 Fe 0.5000 0.5000 0.0000

---

(2)
# PaZn2Pd (PBE-GGA, relaxed)
# * N(E_F): 1.135 states/eV per atom
# * DFT formation energy: -0.33 eV per atom
# * relative energy among the computed polymorphs: 0.019 eV/atom
data_PaZn2Pd
_cell_length_a 10.3411
_cell_length_b 10.3411
_cell_length_c 4.4675
_cell_angle_alpha 90.00
_cell_angle_beta 90.00
_cell_angle_gamma 162.10
_symmetry_space_group_name_H-M 'P 1'
_symmetry_Int_Tables_number 1
loop_
_symmetry_equiv_pos_as_xyz
'x,y,z'
loop_
_atom_site_label
_atom_site_type_symbol
_atom_site_fract_x
_atom_site_fract_y
_atom_site_fract_z
Pa1 Pa 0.1023 0.8977 0.7500
Pa2 Pa 0.8977 0.1023 0.2500
Zn1 Zn 0.2610 0.7390 0.2500
Zn2 Zn 0.4706 0.5294 0.7500
Zn3 Zn 0.5294 0.4706 0.2500
Zn4 Zn 0.7390 0.2610 0.7500
Pd1 Pd 0.3421 0.6579 0.7500
Pd2 Pd 0.6579 0.3421 0.2500

---

(3)
# YSc2TlNi (PBE-GGA, relaxed)
# * N(E_F): 1.475 states/eV per atom
# * DFT formation energy: -0.16 eV per atom
data_YSc2TlNi
_cell_length_a 4.8850
_cell_length_b 4.8850
_cell_length_c 5.2537
_cell_angle_alpha 90.00
_cell_angle_beta 90.00
_cell_angle_gamma 90.00
_symmetry_space_group_name_H-M 'P 1'
_symmetry_Int_Tables_number 1
loop_
_symmetry_equiv_pos_as_xyz
'x,y,z'
loop_
_atom_site_label
_atom_site_type_symbol
_atom_site_fract_x
_atom_site_fract_y
_atom_site_fract_z
Y1 Y 0.0000 0.0000 0.0000
Sc1 Sc 0.0000 0.5000 0.5000
Sc2 Sc 0.5000 0.0000 0.5000
Tl1 Tl 0.5000 0.5000 0.0000
Ni1 Ni 0.0000 0.0000 0.5000

---

(4)
# FeI2BrN (PBE-GGA, relaxed)
# * N(E_F): 0.923 states/eV per atom
# * formation energy without anion corrections: 0.488 eV/atom
# * relative energy among the computed polymorphs: 0.000 eV/atom
data_FeI2BrN
_cell_length_a 5.6479
_cell_length_b 5.6479
_cell_length_c 3.4669
_cell_angle_alpha 90.00
_cell_angle_beta 90.00
_cell_angle_gamma 90.00
_symmetry_space_group_name_H-M 'P 1'
_symmetry_Int_Tables_number 1
loop_
_symmetry_equiv_pos_as_xyz
'x,y,z'
loop_
_atom_site_label
_atom_site_type_symbol
_atom_site_fract_x
_atom_site_fract_y
_atom_site_fract_z
Fe1 Fe 0.0000 0.0000 0.0000
I1 I 0.0000 0.5000 0.0000
I2 I 0.5000 0.0000 0.0000
Br1 Br 0.5000 0.5000 0.5000
N1 N 0.0000 0.0000 0.5000

---

(5)
# MgZn5Pd2 (PBE-GGA, relaxed)
# * N(E_F): 0.273 states/eV per atom
# * DFT formation energy: -0.33 eV per atom
# * relative energy among the computed polymorphs: 0.032 eV/atom
data_MgZn5Pd2
+++
== So much for the materials data ==

"Of course the seventh junior brother's cooking skills are better!" Although Feng Le was reluctant to admit it, he had to affirm Zhou Peng's cooking skills.

"Look, your seventh junior brother also has good cooking skills? What's the result?" Fu Lao asked such a sentence.

This time, the five apprentices stopped talking.

"If we were born in a prosperous world, Master wouldn't go to great lengths to get you to rely on someone, just let you go out and let you develop on your own! However, troubled times are coming, if you don't find them With the blessing of one party, it is very difficult to gain a foothold!" Old Fu sighed like this.

"Master, do you think there will be no chaos here in Shu?" Zhuo Lian, Fu Jinhua's fourth apprentice, asked at this moment.

[Data records, kept here for reference]
<<<
# ZrCo3N

A relaxed structure of ZrCo3N (PBE, Alexandria via LeMat-Bulk).

a b c (Å): 4.604 4.604 4.604
angles (deg): 90.00 90.00 90.00
Element x y z (fractional)
Zr1 0.000 0.000 0.000
Co1 0.000 0.000 0.500
Co2 0.000 0.500 0.000
Co3 0.500 0.000 0.000
N1 0.500 0.500 0.500

Calculated values
SG: Pm-3m, No. 221
ΔE_f (raw): 2.58 eV/atom
energy above the most stable polymorph in this dataset: 2769.7 meV/atom

# CeNdThSc

A relaxed structure of CeNdThSc (PBE, Alexandria via LeMat-Bulk).

a b c (Å): 7.836 7.836 7.836
angles (deg): 90.00 90.00 90.00
Element x y z (fractional)
Ce1 0.000 0.000 0.000
Ce2 0.000 0.500 0.500
Ce3 0.500 0.000 0.500
Ce4 0.500 0.500 0.000
Nd1 0.250 0.250 0.750
Nd2 0.250 0.750 0.250
Nd3 0.750 0.250 0.250
Nd4 0.750 0.750 0.750
Th1 0.250 0.250 0.250
Th2 0.250 0.750 0.750
Th3 0.750 0.250 0.750
Th4 0.750 0.750 0.250
Sc1 0.000 0.000 0.500
Sc2 0.000 0.500 0.000
Sc3 0.500 0.000 0.000
Sc4 0.500 0.500 0.500

Calculated values
SG: F-43m, No. 216
DFT formation energy: 0.764 eV per formula unit
energy above the most stable polymorph in this dataset: 125.9 meV/atom

# EuLuPdPt

A relaxed structure of EuLuPdPt (PBE, Alexandria via LeMat-Bulk).

a b c (Å): 7.012 7.012 7.012
angles (deg): 90.00 90.00 90.00
Element x y z (fractional)
Eu1 0.000 0.000 0.000
Eu2 0.000 0.500 0.500
Eu3 0.500 0.000 0.500
Eu4 0.500 0.500 0.000
Lu1 0.000 0.000 0.500
Lu2 0.000 0.500 0.000
Lu3 0.500 0.000 0.000
Lu4 0.500 0.500 0.500
Pd1 0.250 0.250 0.750
Pd2 0.250 0.750 0.250
Pd3 0.750 0.250 0.250
Pd4 0.750 0.750 0.750
Pt1 0.250 0.250 0.250
Pt2 0.250 0.750 0.750
Pt3 0.750 0.250 0.750
Pt4 0.750 0.750 0.250

Calculated values
SG: F-43m, No. 216
DFT formation energy: -3.676 eV per formula unit

# MgRhNO2

A relaxed structure of MgRhNO2 (PBE, Alexandria via LeMat-Bulk).

a b c (Å): 4.074 4.074 3.634
angles (deg): 90.00 90.00 90.00
Element x y z (fractional)
Mg1 0.000 0.000 0.000
Rh1 0.500 0.500 0.500
N1 0.500 0.500 0.000
O1 0.000 0.500 0.500
O2 0.500 0.000 0.500

Calculated values
SG: P4/mmm, No. 123
ΔE_f (raw): -0.25 eV/atom

Number 1: density of states at the Fermi level 1.53 states/eV per atom, final energy -0.18588 Ha/atom. Number 2: density of states at the Fermi level 2.96 states/eV per atom, final energy -0.21764 Ha/atom. Number 3: density of states at the Fermi level 2.48 states/eV per atom, final energy -0.27291 Ha/atom. Number 4: density of states at the Fermi level 0.94 states/eV per atom, final energy -0.20909 Ha/atom.

----------

The following is a DFT calculation (PBE) of a relaxed structure of Mg2ZrW.

Values from the calculation:
The energy above the most stable polymorph in this dataset is 545 meV/atom. As for the total magnetization: 0.00 μB per cell. For the volume, the calculation gives 21.053 Å³ per atom. Its energy of formation from the pure elements is 0.75 eV/atom. For the theoretical density, the calculation gives 6.4 g/cm³.

The structure in CIF format:
```
data_Mg2ZrW
_chemical_formula_sum 'Mg8 Zr4 W4'
_symmetry_space_group_name_H-M 'I -4 2 d'
>>>

"That's right, because of the terrain, natural barriers in Shu have prevented many disasters. The most important thing is that Bailu City in Shu is now the fief of King Qin. With King Qin, Only now can we have a stable life!" Elder Fu said.

This time, several apprentices dispelled their doubts.

After that, several people got busy.

So many people can't live in one guest room.

According to the order, today, the fourth Zhuo Lian is responsible for taking care of Master and staying with him in a room.

The other four people have a room for two people, and two more rooms are opened.

A group of people came after Zhou Peng, and now that Zhou Peng has subdued, they can rest completely.

Because it was not yet time to eat, a few of them asked the shop assistant to bring hot water.

After Zhuo Lian mixed the hot water, he helped Fu Lao into the tub.

Afterwards, Zhuo Lian retreated outside and started making tea.

Fu Jinhua has always had the habit of drinking tea, and every time he brews not much, just a few pieces of tea leaves are enough.

Zhuo Lian, who is familiar with his habits, is also very handy.

After Mr. Fu finished washing, Zhuo Lian also took a bath by himself after changing the water.

After the two masters have washed up, the second shopkeeper below will also bring the food up.

"Master, don't we go down to eat?" Zhuo Lian asked after seeing it.

Old Fu shook his head and said, "Master is here, I don't have the energy to toss, so I just eat something in the house, and I can rest after eating!"

Fu Lao had a bad appetite, so he tasted a few small dishes, and after eating a little rice, he was full.

The rest of the meal was eaten by Zhuo Lian.

Old Fu looked at Zhuo Lian's delicious meal and couldn't help laughing.

"Fourth! Do you still have something in your heart that you haven't asked?"

Zhuo Lian hesitated when he heard his master's words, and nodded.

"Master, the reason why you came to Shu is because of what Master Fuyuan said?"

When Mr. Fu heard Zhuo Lian's words, he reached out and touched his beard.

Zhuo Lian, if one day Master passes away, your brothers and sisters are unwilling to follow King Qin, so don't force it. Just stay by King Qin yourself! Trust Master, you won't regret this choice!"

Zhuo Lian nodded when he heard what his master said.

"Master, in fact, like you, I am very optimistic about King Qin and Princess Qin. I have never met King Qin, but after seeing Princess Qin, my disciple decided to stay in Shu! Master, my disciples have a feeling that this diligent princess will bring us a big surprise. So you must live well, or else you will miss this big surprise, and you will never rest in your life!"

Old Fu could not help laughing when he heard what his apprentice said.

"Fine, Master will try to live a little longer to see what kind of surprise Princess Qin brings us!"

On Li Xiaoran's side, after taking the five selected people back to their yard, they handed this person over to Zicheng to settle down.

In addition to Yin Qing and Ye Shengnan who brought them back, the rooms in the yard were full at this time.

Fortunately, everyone does things by themselves, so it is not too troublesome.

That night, Luo Cheng still did not come back.

However, Li Xiaoran got a note from Zicheng that Luo Cheng asked the carrier pigeon to send back.

The note said Xiaoran personally opened it, but when I opened it, there was only one sentence.

"Everything is fine for my husband, come back tomorrow night! Don't miss, miss you!"

Seeing such a sentence, Li Xiaoran smiled.

"Let me not miss him, he even wrote a miss me at the end! How stupid!"

Put the note away, put it in his purse, and put it on the pillow. Li Xiaoran rested on Luo Cheng's note and fell asleep.

Maybe it was the reason why Luo Cheng would be back tomorrow night, Li Xiaoran slept well that night.

When Li Xiaoran woke up the next morning, he found that it was raining outside.

"Xiao Ran, are you awake? Get up, Ye Shengnan made rice cakes today, and I ate very well!" Shu Ruyue ran over to look for Li Xiaoran when she was washing up.

Li Xiaoran was also a little hungry when she heard that there were rice cakes to eat.

"Speaking of which, I haven't eaten rice cakes for a long time! Let's go, try it!"

I have to say that the rice cakes made by Ye Shengnan are really good.

Li Xiaoran fell in love with the taste of this rice cake after taking a bite.

"Hey, this rice cake tastes amazing, much better than the rice cakes I've ever eaten!"

Ye Shengnan smiled when he heard Li Xiaoran's praise.

"I also tried making rice cakes for the first time. I don't know why, but I suddenly wanted to make them today, so I made a pot!"

Li Xiaoran suddenly remembered something.